Please transcribe the material below with every line break kept.

=====
Entry from the Alexandria database: a relaxed structure of Rb3ZrN (PBEsol).

M_tot: 7.104 μB/cell
SG: Pm-3m (221)

Cell: 6.9677 6.9677 6.9677 Å, 90.00 90.00 90.00°
With the nearest neighbours (Å) after each atom.
Positions (direct):
Rb  0.0000  0.0000  0.5000  2 Zr 3.48
Rb  0.0000  0.5000  0.0000  2 Zr 3.48
Rb  0.5000  0.0000  0.0000  2 Zr 3.48
Zr  0.0000  0.0000  0.0000  6 Rb 3.48
N  0.5000  0.5000  0.5000  12 Rb 4.93

Entry from the Alexandria database: a relaxed structure of Re2N (PBEsol).

M_tot: 0.000 μB/cell
SG: P6_3/mmc (194)

Cell: 2.8356 2.8356 9.8043 Å, 90.00 90.00 120.00°
With the nearest neighbours (Å) after each atom.
Positions (direct):
Re  0.3333  0.6667  0.1061  3 N 2.16
Re  0.3333  0.6667  0.3939  3 N 2.16
Re  0.6667  0.3333  0.6061  3 N 2.16
Re  0.6667  0.3333  0.8939  3 N 2.16
N  0.3333  0.6667  0.7500  6 Re 2.16
N  0.6667  0.3333  0.2500  6 Re 2.16

The calculation returns the following N(E_F) values, one per record and in order: 15.92, 1.77 states/eV per cell.
The calculation returns the following raw total energy values, one per record and in order: -2.150, -11.832 eV/atom.

=====

Compound: CaMnP
Source: the Alexandria database
Functional: PBE
Structure: relaxed

Lattice parameters (Å, degrees): 5.641 5.641 3.080 74.16 74.15 31.69
Element x y z (fractional)
Ca 0.001 0.001 0.999
Mn 0.289 0.289 0.711
P 0.710 0.710 0.290

Calculated values
theoretical density	4.237	g/cm³
calculated formation energy	-82	kJ/mol of formula units
E_tot	-0.214	Ha/atom

***

Compound: DyAlSi
Source: the Alexandria database
Functional: PBE
Structure: relaxed

Lattice parameters (Å, degrees): 4.003 5.527 5.714 90.00 90.00 111.22
Element x y z (fractional)
Si 0.599 0.198 0.750
Si 0.401 0.802 0.250
Al 0.000 0.000 0.500
Al 0.000 0.000 0.000
Dy 0.695 0.391 0.250
Dy 0.305 0.609 0.750

Calculated values
theoretical density	6.131	g/cm³
formation energy (no corrections)	-1.9	eV/f.u.
E_tot	-0.192	Ha/atom

***

Compound: CuReAgH2
Source: the Alexandria database
Functional: PBE
Structure: relaxed

Lattice parameters (Å, degrees): 3.671 5.110 3.671 90.00 90.00 90.00
Element x y z (fractional)
Re 0.500 0.500 0.500
Cu 0.000 0.000 0.000
Ag 0.000 0.500 0.000
H 0.000 0.000 0.500
H 0.500 0.000 0.000

Calculated values
theoretical density	8.671	g/cm³
E_tot	-0.140	Ha/atom

***

Number 1: calculated volume 16.5 Å³/atom. Number 2: calculated volume 19.6 Å³/atom. Number 3: calculated volume 13.8 Å³/atom.

=====

# 1
Compound: Fe2SnTe
Source: Alexandria via LeMat-Bulk
Functional: PBE
Structure: optimized geometry

Computed properties:
Total magnetic moment in μB/atom: 0.93
E_tot in eV/atom: -5.5825
N(E_F) in states/eV per cell: 4.19
Formation energy without anion corrections in eV per atom: 0.435

```
4
Lattice="0.773 -4.135 1.691 -2.382 -3.549 -1.511 2.012 -3.156 -2.559" Properties=species:S:1:pos:R:3 pbc="T T T"
Fe 0.302 -8.131 -1.784
Fe 0.101 -2.710 -0.595
Te 0.201 -5.420 -1.190
Sn 0.000 0.000 0.000
```

***

# 2
Compound: TbCe2SmBi4
Source: Alexandria via LeMat-Bulk
Functional: PBE
Structure: optimized geometry

Computed properties:
Energy of formation from the pure elements in kJ/mol of formula units: -654
Total magnetic moment in μB/atom: 0.21
E_tot in eV/atom: -5.4405
N(E_F) in states/eV per cell: 14.89

```
8
Lattice="-2.238 3.679 -1.497 -3.733 0.559 6.955 4.216 4.554 4.885" Properties=species:S:1:pos:R:3 pbc="T T T"
Ce 0.989 4.116 1.694
Ce 4.216 4.554 4.885
Tb 0.241 2.557 5.920
Sm -2.986 2.119 2.729
Bi -2.836 3.410 5.677
Bi -2.123 4.964 1.487
Bi 0.366 3.828 8.856
Bi 1.079 5.381 4.666
```

***

# 3
Compound: Ta2NbCu
Source: Alexandria via LeMat-Bulk
Functional: PBE
Structure: optimized geometry

Computed properties:
Energy of formation from the pure elements in kJ/mol of formula units: 236
Total magnetic moment in μB/atom: 0.00
E_tot in eV/atom: -8.8556
N(E_F) in states/eV per cell: 3.05

```
8
Lattice="-2.357 3.046 0.393 -0.699 -0.049 -3.808 -9.017 -4.484 -0.256" Properties=species:S:1:pos:R:3 pbc="T T T"
Nb 0.000 0.000 0.000
=====

Entry from the Alexandria database: a relaxed structure of Rb3ZrN (PBEsol).

M_tot: 7.104 μB/cell
SG: Pm-3m (221)

Cell: 6.9677 6.9677 6.9677 Å, 90.00 90.00 90.00°
With the nearest neighbours (Å) after each atom.
Positions (direct):
Rb  0.0000  0.0000  0.5000  2 Zr 3.48
Rb  0.0000  0.5000  0.0000  2 Zr 3.48
Rb  0.5000  0.0000  0.0000  2 Zr 3.48
Zr  0.0000  0.0000  0.0000  6 Rb 3.48
N  0.5000  0.5000  0.5000  12 Rb 4.93

Entry from the Alexandria database: a relaxed structure of Re2N (PBEsol).

M_tot: 0.000 μB/cell
SG: P6_3/mmc (194)

Cell: 2.8356 2.8356 9.8043 Å, 90.00 90.00 120.00°
With the nearest neighbours (Å) after each atom.
Positions (direct):
Re  0.3333  0.6667  0.1061  3 N 2.16
Re  0.3333  0.6667  0.3939  3 N 2.16
Re  0.6667  0.3333  0.6061  3 N 2.16
Re  0.6667  0.3333  0.8939  3 N 2.16
N  0.3333  0.6667  0.7500  6 Re 2.16
N  0.6667  0.3333  0.2500  6 Re 2.16

The calculation returns the following N(E_F) values, one per record and in order: 15.92, 1.77 states/eV per cell.
The calculation returns the following raw total energy values, one per record and in order: -2.150, -11.832 eV/atom.

=====

Compound: CaMnP
Source: the Alexandria database
Functional: PBE
Structure: relaxed

Lattice parameters (Å, degrees): 5.641 5.641 3.080 74.16 74.15 31.69
Element x y z (fractional)
Ca 0.001 0.001 0.999
Mn 0.289 0.289 0.711
P 0.710 0.710 0.290

Calculated values
theoretical density	4.237	g/cm³
calculated formation energy	-82	kJ/mol of formula units
E_tot	-0.214	Ha/atom

***

Compound: DyAlSi
Source: the Alexandria database
Functional: PBE
Structure: relaxed

Lattice parameters (Å, degrees): 4.003 5.527 5.714 90.00 90.00 111.22
Element x y z (fractional)
Si 0.599 0.198 0.750
Si 0.401 0.802 0.250
Al 0.000 0.000 0.500
Al 0.000 0.000 0.000
Dy 0.695 0.391 0.250
Dy 0.305 0.609 0.750

Calculated values
theoretical density	6.131	g/cm³
formation energy (no corrections)	-1.9	eV/f.u.
E_tot	-0.192	Ha/atom

***

Compound: CuReAgH2
Source: the Alexandria database
Functional: PBE
Structure: relaxed

Lattice parameters (Å, degrees): 3.671 5.110 3.671 90.00 90.00 90.00
Element x y z (fractional)
Re 0.500 0.500 0.500
Cu 0.000 0.000 0.000
Ag 0.000 0.500 0.000
H 0.000 0.000 0.500
H 0.500 0.000 0.000

Calculated values
theoretical density	8.671	g/cm³
E_tot	-0.140	Ha/atom

***

Number 1: calculated volume 16.5 Å³/atom. Number 2: calculated volume 19.6 Å³/atom. Number 3: calculated volume 13.8 Å³/atom.

=====

# 1
Compound: Fe2SnTe
Source: Alexandria via LeMat-Bulk
Functional: PBE
Structure: optimized geometry

Computed properties:
Total magnetic moment in μB/atom: 0.93
E_tot in eV/atom: -5.5825
N(E_F) in states/eV per cell: 4.19
Formation energy without anion corrections in eV per atom: 0.435

```
4
Lattice="0.773 -4.135 1.691 -2.382 -3.549 -1.511 2.012 -3.156 -2.559" Properties=species:S:1:pos:R:3 pbc="T T T"
Fe 0.302 -8.131 -1.784
Fe 0.101 -2.710 -0.595
Te 0.201 -5.420 -1.190
Sn 0.000 0.000 0.000
```

***

# 2
Compound: TbCe2SmBi4
Source: Alexandria via LeMat-Bulk
Functional: PBE
Structure: optimized geometry

Computed properties:
Energy of formation from the pure elements in kJ/mol of formula units: -654
Total magnetic moment in μB/atom: 0.21
E_tot in eV/atom: -5.4405
N(E_F) in states/eV per cell: 14.89

```
8
Lattice="-2.238 3.679 -1.497 -3.733 0.559 6.955 4.216 4.554 4.885" Properties=species:S:1:pos:R:3 pbc="T T T"
Ce 0.989 4.116 1.694
Ce 4.216 4.554 4.885
Tb 0.241 2.557 5.920
Sm -2.986 2.119 2.729
Bi -2.836 3.410 5.677
Bi -2.123 4.964 1.487
Bi 0.366 3.828 8.856
Bi 1.079 5.381 4.666
```

***

# 3
Compound: Ta2NbCu
Source: Alexandria via LeMat-Bulk
Functional: PBE
Structure: optimized geometry

Computed properties:
Energy of formation from the pure elements in kJ/mol of formula units: 236
Total magnetic moment in μB/atom: 0.00
E_tot in eV/atom: -8.8556
N(E_F) in states/eV per cell: 3.05

```
8
Lattice="-2.357 3.046 0.393 -0.699 -0.049 -3.808 -9.017 -4.484 -0.256" Properties=species:S:1:pos:R:3 pbc="T T T"
Nb 0.000 0.000 0.000